**Data:**
********
Record 1
# RuPbSe PBE optimized geometry
data_RuPbSe
_space_group_name_H-M_alt 'P 3 m 1'
_space_group_IT_number 156
_cell_length_a 4.1511
_cell_length_b 4.1511
_cell_length_c 4.6432
_cell_angle_alpha 90.00
_cell_angle_beta 90.00
_cell_angle_gamma 120.00
loop_
_space_group_symop_operation_xyz
'x,y,z'
'-y,x-y,z'
'-x+y,-x,z'
'-y,-x,z'
'-x+y,y,z'
'x,x-y,z'
loop_
_atom_site_label
_atom_site_fract_x
_atom_site_fract_y
_atom_site_fract_z
Ru1 0.0000 0.0000 0.0000
Pb1 0.3333 0.6667 0.4956
Se1 0.6667 0.3333 0.9965
# **Formation energy from raw total energies**: 0.190 eV/atom
# **DOS at the Fermi energy**: 1.185 states/eV per atom
# **ΔE to the lowest computed polymorph**: 0.236 eV per atom
# **Raw total energy**: -5.30 eV/atom
# **Spin magnetization**: 0.0 μB per cell


Record 2
# Cs3Rb8S PBE optimized geometry
data_Cs3Rb8S
_space_group_name_H-M_alt 'P 63 m c'
_space_group_IT_number 186
_space_group_name_Hall 'P 6c -2c'
_cell_length_a 15.1778
_cell_length_b 15.1778
_cell_length_c 10.2549
_cell_angle_alpha 90.00
_cell_angle_beta 90.00
_cell_angle_gamma 120.00
loop_
_atom_site_label
_atom_site_fract_x
_atom_site_fract_y
_atom_site_fract_z
Cs1 0.1505 0.3009 0.0000
Rb1 0.0000 0.0000 0.2494
Rb2 0.0759 0.5380 0.2765
Rb3 0.2345 0.4690 0.5587
Rb4 0.3333 0.6667 0.0203
S1 0.3333 0.6667 0.3498
# **Formation energy from raw total energies**: -0.191 eV/atom
# **DOS at the Fermi energy**: 0.817 states/eV per atom
# **Raw total energy**: -1.39 eV/atom
# **Spin magnetization**: 0.0 μB per cell


Record 3
# Ca2ReSb PBE optimized geometry
data_Ca2ReSb
_space_group_name_H-M_alt 'C m m m'
_space_group_IT_number 65
_space_group_name_Hall '-C 2 2'
_cell_length_a 6.455
_cell_length_b 9.336
_cell_length_c 3.031
_cell_angle_alpha 90.00
_cell_angle_beta 90.00
_cell_angle_gamma 90.00
loop_
_atom_site_label
_atom_site_fract_x
_atom_site_fract_y
_atom_site_fract_z
Ca1 0.250 0.250 0.000
Re1 0.000 0.000 0.500
Sb1 0.000 0.500 0.500
# **Formation energy from raw total energies**: 0.263 eV/atom
# **DOS at the Fermi energy**: 0.580 states/eV per atom
# **Raw total energy**: -4.88 eV/atom
# **Spin magnetization**: 0.0 μB per cell


Record 4
# Na2Sr5Rh2 PBE optimized geometry
data_Na2Sr5Rh2
_space_group_name_H-M_alt 'C m c e'
_space_group_IT_number 64
_space_group_name_Hall '-C 2ac 2'
_cell_length_a 20.209
_cell_length_b 8.229
_cell_length_c 8.215
_cell_angle_alpha 90.00
_cell_angle_beta 90.00
_cell_angle_gamma 90.00
loop_
_atom_site_label
_atom_site_fract_x
_atom_site_fract_y
_atom_site_fract_z
Na1 0.230 0.000 0.000
Sr1 0.000 0.000 0.000
Sr2 0.100 0.170 0.330
Rh1 0.000 0.120 0.620
# **DOS at the Fermi energy**: 0.784 states/eV per atom
# **Calculated formation energy**: -0.1424 eV per atom
# **Raw total energy**: -3.00 eV/atom
# **Spin magnetization**: 0.0 μB per cell
********
**Activity:**
Filter the entries further above: keep the lines with the word "Rb4".
**Outcome:**
Rb4 0.3333 0.6667 0.0203